_Job_
The reader should quote everything further down without altering anything.

_Excerpt_
No. 1
EuSb2Pb: optimized geometry, PBE.

a b c (Å): 5.5720 5.5720 5.5720
angles (deg): 60.00 60.00 60.00
Fractional positions:
Pb 0.0000 0.0000 0.0000
Eu 0.5000 0.5000 0.5000
Sb 0.2500 0.2500 0.2500
Sb 0.7500 0.7500 0.7500

Summary:
* space-group type: Fm-3m (225)
* total magnetic moment: 6.89 μB per formula unit
* uncorrected formation energy: -0.37 eV/atom



No. 2
Sc6SnPt5: optimized geometry, PBE.

a b c (Å): 4.8275 6.4890 7.5916
angles (deg): 90.00 109.68 90.00
Fractional positions:
Sc 0.8441 0.7460 0.6508
Sc 0.8441 0.2540 0.6508
Sc 0.5000 0.2635 0.0000
Sc 0.5000 0.7365 0.0000
Sc 0.1559 0.7460 0.3492
Sc 0.1559 0.2540 0.3492
Sn 0.0000 0.0000 0.0000
Pt 0.6249 0.5000 0.3300
Pt 0.3919 0.0000 0.6903
Pt 0.0000 0.5000 0.0000
Pt 0.6081 0.0000 0.3097
Pt 0.3751 0.5000 0.6700

Summary:
* space-group type: P2/m (10)
* energy of formation from the pure elements: -1114.9 meV/atom
* total magnetic moment: 0.00 μB per formula unit



No. 3
Ba3Nb2InO8: optimized geometry, PBE.

a b c (Å): 6.0458 6.0458 9.3628
angles (deg): 90.00 90.00 120.00
Fractional positions:
Ba 0.3333 0.6667 0.7017
Ba 0.6667 0.3333 0.2983
Ba 0.0000 0.0000 0.0000
Nb 0.3333 0.6667 0.1679
Nb 0.6667 0.3333 0.8321
In 0.0000 0.0000 0.5000
O 0.3333 0.6667 0.9662
O 0.6667 0.3333 0.0338
O 0.1663 0.8337 0.2382
O 0.8337 0.1663 0.7618
O 0.1663 0.3325 0.2382
O 0.8337 0.6675 0.7618
O 0.6675 0.8337 0.2382
O 0.3325 0.1663 0.7618

Summary:
* space-group type: P-3m1 (164)
* total magnetic moment: 1.04 μB per formula unit
* uncorrected formation energy: -2.41 eV/atom



No. 4
VSiGe3: optimized geometry, PBE.

a b c (Å): 4.7475 4.7475 4.7475
angles (deg): 90.00 90.00 90.00
Fractional positions:
Ge 0.0000 0.5000 0.0000
Ge 0.0000 0.0000 0.5000
Ge 0.5000 0.0000 0.0000
Si 0.5000 0.5000 0.5000
V 0.0000 0.0000 0.0000

Summary:
* space-group type: Pm-3m (221)
* total magnetic moment: 0.08 μB per formula unit
* uncorrected formation energy: 0.63 eV/atom



Taking the records one at a time from the top gives theoretical density values of 8.2 10.1 4.7 4.6 g/cm³.
Taking the records one at a time from the top gives DOS at the Fermi energy values of 0.66 0.47 0.16 1.02 states/eV per atom.

=====

Record 1
Computed, not measured: a relaxed structure of Tl3SnI6 at the PBE-GGA level of DFT.

Results
- crystal system = trigonal
- formation energy without anion corrections (eV per atom) = -0.5229
- spin magnetization (Bohr magnetons per cell) = 0.0
- total energy (eV/atom) = -2.56

Cell lengths 13.5509, 13.5509, 17.6446 Å; angles 90.00, 90.00, 120.00 degrees
Space group R-3 (No. 148, hexagonal axes)
Unique sites:
Tl 0.0637 0.5884 0.3747
Sn 0.0000 0.0000 0.0000
Sn 0.0000 0.0000 0.5000
I 0.0230 0.1937 0.1005
I 0.0606 0.8546 0.3983

Record 2
Computed, not measured: a relaxed structure of ZnFePd2 at the PBE-GGA level of DFT.

Results
- crystal system = cubic
- spin magnetization (Bohr magnetons per cell) = 12.8
- total energy (eV/atom) = -5.13
- energy of formation from the pure elements (eV/atom) = -0.098

Cell lengths 6.136, 6.136, 6.136 Å; angles 90.00, 90.00, 90.00 degrees
Space group F-43m (No. 216)
Unique sites:
Zn 0.000 0.000 0.000
Fe 0.250 0.250 0.250
Pd 0.000 0.000 0.500
Pd 0.250 0.250 0.750

Record 3
Computed, not measured: a relaxed structure of La2TlCr2 at the PBE-GGA level of DFT.

Results
- crystal system = tetragonal
- spin magnetization (Bohr magnetons per cell) = 0.0
- total energy (eV/atom) = -5.97
- energy of formation from the pure elements (eV/atom) = 0.326

Cell lengths 3.394, 3.394, 20.824 Å; angles 90.00, 90.00, 90.00 degrees
Space group I4/mmm (No. 139)
Unique sites:
La 0.000 0.000 0.125
Tl 0.000 0.000 0.500
Cr 0.000 0.500 0.250

Record 4
Computed, not measured: a relaxed structure of Dy6Tm2In at the PBE-GGA level of DFT.

Results
- crystal system = monoclinic
- spin magnetization (Bohr magnetons per cell) = 0.0
- total energy (eV/atom) = -4.36
- energy of formation from the pure elements (eV/atom) = 0.004

Cell lengths 13.023, 13.604, 6.309 Å; angles 90.00, 94.87, 90.00 degrees

_Result_
No. 1
EuSb2Pb: optimized geometry, PBE.

a b c (Å): 5.5720 5.5720 5.5720
angles (deg): 60.00 60.00 60.00
Fractional positions:
Pb 0.0000 0.0000 0.0000
Eu 0.5000 0.5000 0.5000
Sb 0.2500 0.2500 0.2500
Sb 0.7500 0.7500 0.7500

Summary:
* space-group type: Fm-3m (225)
* total magnetic moment: 6.89 μB per formula unit
* uncorrected formation energy: -0.37 eV/atom



No. 2
Sc6SnPt5: optimized geometry, PBE.

a b c (Å): 4.8275 6.4890 7.5916
angles (deg): 90.00 109.68 90.00
Fractional positions:
Sc 0.8441 0.7460 0.6508
Sc 0.8441 0.2540 0.6508
Sc 0.5000 0.2635 0.0000
Sc 0.5000 0.7365 0.0000
Sc 0.1559 0.7460 0.3492
Sc 0.1559 0.2540 0.3492
Sn 0.0000 0.0000 0.0000
Pt 0.6249 0.5000 0.3300
Pt 0.3919 0.0000 0.6903
Pt 0.0000 0.5000 0.0000
Pt 0.6081 0.0000 0.3097
Pt 0.3751 0.5000 0.6700

Summary:
* space-group type: P2/m (10)
* energy of formation from the pure elements: -1114.9 meV/atom
* total magnetic moment: 0.00 μB per formula unit



No. 3
Ba3Nb2InO8: optimized geometry, PBE.

a b c (Å): 6.0458 6.0458 9.3628
angles (deg): 90.00 90.00 120.00
Fractional positions:
Ba 0.3333 0.6667 0.7017
Ba 0.6667 0.3333 0.2983
Ba 0.0000 0.0000 0.0000
Nb 0.3333 0.6667 0.1679
Nb 0.6667 0.3333 0.8321
In 0.0000 0.0000 0.5000
O 0.3333 0.6667 0.9662
O 0.6667 0.3333 0.0338
O 0.1663 0.8337 0.2382
O 0.8337 0.1663 0.7618
O 0.1663 0.3325 0.2382
O 0.8337 0.6675 0.7618
O 0.6675 0.8337 0.2382
O 0.3325 0.1663 0.7618

Summary:
* space-group type: P-3m1 (164)
* total magnetic moment: 1.04 μB per formula unit
* uncorrected formation energy: -2.41 eV/atom



No. 4
VSiGe3: optimized geometry, PBE.

a b c (Å): 4.7475 4.7475 4.7475
angles (deg): 90.00 90.00 90.00
Fractional positions:
Ge 0.0000 0.5000 0.0000
Ge 0.0000 0.0000 0.5000
Ge 0.5000 0.0000 0.0000
Si 0.5000 0.5000 0.5000
V 0.0000 0.0000 0.0000

Summary:
* space-group type: Pm-3m (221)
* total magnetic moment: 0.08 μB per formula unit
* uncorrected formation energy: 0.63 eV/atom



Taking the records one at a time from the top gives theoretical density values of 8.2 10.1 4.7 4.6 g/cm³.
Taking the records one at a time from the top gives DOS at the Fermi energy values of 0.66 0.47 0.16 1.02 states/eV per atom.

=====

Record 1
Computed, not measured: a relaxed structure of Tl3SnI6 at the PBE-GGA level of DFT.

Results
- crystal system = trigonal
- formation energy without anion corrections (eV per atom) = -0.5229
- spin magnetization (Bohr magnetons per cell) = 0.0
- total energy (eV/atom) = -2.56

Cell lengths 13.5509, 13.5509, 17.6446 Å; angles 90.00, 90.00, 120.00 degrees
Space group R-3 (No. 148, hexagonal axes)
Unique sites:
Tl 0.0637 0.5884 0.3747
Sn 0.0000 0.0000 0.0000
Sn 0.0000 0.0000 0.5000
I 0.0230 0.1937 0.1005
I 0.0606 0.8546 0.3983

Record 2
Computed, not measured: a relaxed structure of ZnFePd2 at the PBE-GGA level of DFT.

Results
- crystal system = cubic
- spin magnetization (Bohr magnetons per cell) = 12.8
- total energy (eV/atom) = -5.13
- energy of formation from the pure elements (eV/atom) = -0.098

Cell lengths 6.136, 6.136, 6.136 Å; angles 90.00, 90.00, 90.00 degrees
Space group F-43m (No. 216)
Unique sites:
Zn 0.000 0.000 0.000
Fe 0.250 0.250 0.250
Pd 0.000 0.000 0.500
Pd 0.250 0.250 0.750

Record 3
Computed, not measured: a relaxed structure of La2TlCr2 at the PBE-GGA level of DFT.

Results
- crystal system = tetragonal
- spin magnetization (Bohr magnetons per cell) = 0.0
- total energy (eV/atom) = -5.97
- energy of formation from the pure elements (eV/atom) = 0.326

Cell lengths 3.394, 3.394, 20.824 Å; angles 90.00, 90.00, 90.00 degrees
Space group I4/mmm (No. 139)
Unique sites:
La 0.000 0.000 0.125
Tl 0.000 0.000 0.500
Cr 0.000 0.500 0.250

Record 4
Computed, not measured: a relaxed structure of Dy6Tm2In at the PBE-GGA level of DFT.

Results
- crystal system = monoclinic
- spin magnetization (Bohr magnetons per cell) = 0.0
- total energy (eV/atom) = -4.36
- energy of formation from the pure elements (eV/atom) = 0.004

Cell lengths 13.023, 13.604, 6.309 Å; angles 90.00, 94.87, 90.00 degrees